-- Listing --
Material: Li4MnV3P8O28
Method: DFT, GGA+U
State: optimized geometry

extended XYZ file:
```
88
Lattice="-0.766 3.857 7.298 2.665 -3.468 2.112 22.523 13.463 -4.749" Properties=species:S:1:pos:R:3 pbc="T T T"
Li 22.358 12.849 -1.040
Li 11.112 6.101 1.331
Li 1.893 1.861 7.325
Li 13.141 8.597 4.934
Li 18.054 7.746 1.208
Li 6.803 1.019 3.577
Li 17.449 13.690 2.708
Li 6.196 6.966 5.083
Mn 10.275 8.417 6.022
Mn 13.768 7.341 2.249
V 21.532 15.167 3.659
V 2.507 0.610 4.646
V 17.995 6.208 -1.384
V 5.975 3.339 8.278
V 18.064 12.440 0.030
V 6.809 5.721 2.407
P 17.915 9.516 -1.451
P 15.075 10.287 3.556
P 6.660 2.796 0.927
P 3.819 3.540 5.915
P 20.550 10.575 -0.753
P 17.868 10.524 2.728
P 9.291 3.848 1.643
P 6.613 3.796 5.093
P 2.356 -2.311 3.166
P 22.042 11.902 3.409
P 13.589 4.373 0.778
P 10.798 5.191 5.785
P 2.328 2.212 1.751
P 22.173 15.625 0.478
P 13.570 8.932 -0.609
P 10.945 8.911 2.811
O 22.527 15.807 1.955
O 0.500 1.077 4.550
O 17.881 11.872 1.983
O 11.319 9.134 4.268
O 11.760 7.799 2.129
O 19.949 11.807 -0.057
O 6.614 5.143 4.359
O 2.726 1.127 2.743
O 19.450 9.918 -1.754
O 8.668 5.070 2.339
O 2.809 2.457 5.560
O 14.021 7.862 0.392
O 16.377 9.926 2.636
O 8.191 3.188 0.629
O 14.047 9.237 3.215
O 21.694 10.985 -1.672
O 15.469 10.218 5.041
O 5.120 3.189 5.006
O 21.583 13.296 3.001
O 10.447 4.253 0.762
O 17.919 8.152 -0.752
O 4.190 3.464 7.405
O 10.284 6.579 5.385
O 6.652 1.419 1.619
O 24.246 11.140 -2.982
O 18.224 10.709 4.202
O 1.752 -1.235 4.070
O 12.995 4.376 -0.641
O 18.724 9.442 2.048
O 6.964 3.977 6.576
O 12.966 5.408 1.701
O 7.463 2.712 4.424
O 2.319 0.041 6.601
O 20.951 9.493 0.240
O 4.390 -0.026 4.562
O 13.603 6.784 4.158
O 21.035 10.820 3.053
O 9.660 2.749 2.635
O 3.889 -1.914 2.863
O 15.646 6.703 2.195
O 9.783 4.108 5.416
O 14.720 9.332 -1.534
O 20.681 15.019 0.387
O 15.136 4.795 0.514
O 14.645 11.692 3.141
O 3.469 2.622 0.832
O 19.750 15.297 2.787
O 9.432 8.323 2.759
O 3.356 4.934 5.510
O 22.214 13.251 -2.998
O 8.492 8.573 5.164
O 17.283 9.510 -2.845
O 17.314 10.598 -0.545
O 10.940 6.454 -0.656
O 6.022 2.778 -0.473
O 6.053 3.867 1.831
```

The total energy after the MP2020 corrections comes out at -7.83 eV per atom. For the total magnetization, the calculation gives 10.00 μB per formula unit. Its formation energy is -2692 meV/atom. The crystal system is monoclinic.

~~~~~

1.
First-principles (PBE-GGA) data for a geometry-optimized ZnTe6O13 structure, as listed in the Materials Project.

Cell: 8.7988 8.7988 8.7988 Å, 71.84 71.84 71.84°
Atoms (fractional coordinates):
Zn  0.7426  0.7426  0.7426
Zn  0.2574  0.2574  0.2574
Te  0.0121  0.3338  0.9410
Te  0.3338  0.9410  0.0121
Te  0.9879  0.6662  0.0590
Te  0.4692  0.1755  0.5787
Te  0.0590  0.9879  0.6662
Te  0.9410  0.0121  0.3338
Te  0.6662  0.0590  0.9879
Te  0.8245  0.4213  0.5308
Te  0.4213  0.5308  0.8245
Te  0.5787  0.4692  0.1755
Te  0.5308  0.8245  0.4213
Te  0.1755  0.5787  0.4692
O  0.7013  0.6253  0.3857
O  0.6143  0.2987  0.3747
O  0.0875  0.0875  0.0875
O  0.6253  0.3857  0.7013
O  0.6969  0.9470  0.2010
O  0.4558  0.3637  0.1160
O  0.8971  0.9218  0.6027
O  0.3973  0.1029  0.0782
O  0.6363  0.8840  0.5442
O  0.1160  0.4558  0.3637
O  0.9218  0.6027  0.8971
O  0.3857  0.7013  0.6253
O  0.3031  0.0530  0.7990
O  0.5442  0.6363  0.8840
O  0.8840  0.5442  0.6363
O  0.9125  0.9125  0.9125
O  0.3747  0.6143  0.2987
O  0.2987  0.3747  0.6143
O  0.2010  0.6969  0.9470
O  0.3637  0.1160  0.4558
O  0.0782  0.3973  0.1029
O  0.0530  0.7990  0.3031
O  0.6027  0.8971  0.9218
O  0.9470  0.2010  0.6969
O  0.7990  0.3031  0.0530
O  0.1029  0.0782  0.3973

=====

2.
First-principles (PBE-GGA) data for a geometry-optimized ZnTe2O5 structure, as listed in the Materials Project.

Properties
Its total magnetization is 0.00 μB per cell. The energy above the most stable polymorph in this dataset comes out at 10 meV/atom.

Cell: 8.8103 8.8103 12.9312 Å, 90.00 90.00 90.00°
Atoms (fractional coordinates):
Zn  0.5000  0.0000  0.0000
Zn  0.5000  0.0000  0.7500
Zn  0.5000  0.0000  0.2500
-- Work order --
Retype every line further up that contains the word "Lattice", please.
-- Reply --
Lattice="-0.766 3.857 7.298 2.665 -3.468 2.112 22.523 13.463 -4.749" Properties=species:S:1:pos:R:3 pbc="T T T"